What to do >
Search the block underneath for the word "fractional" and reproduce each line that has it.

File >
~~~
Computed, not measured: crystalline PuGa2 at its relaxed geometry at the PBE-GGA level of DFT.

## Properties
Crystal system: cubic
M_tot (μB/cell): 11.15
Formation energy (eV per atom): -0.390

Cell lengths 5.509, 5.509, 5.509 Å; angles 60.00, 60.00, 60.00 degrees
Element x y z (fractional)
1 Pu 0.125 0.125 0.125
2 Pu 0.875 0.875 0.875
3 Ga 0.000 0.500 0.500
4 Ga 0.500 0.000 0.500
5 Ga 0.500 0.500 0.000
6 Ga 0.500 0.500 0.500

***

Computed, not measured: crystalline PuGa6 at its relaxed geometry at the PBE-GGA level of DFT.

## Properties
Crystal system: cubic
M_tot (μB/cell): 5.67
ΔE to the lowest computed polymorph (eV per formula unit): 2.67
Formation energy (eV per atom): 0.167

Cell lengths 6.051, 6.051, 6.051 Å; angles 109.47, 109.47, 109.47 degrees
Element x y z (fractional)
1 Pu 0.000 0.000 0.000
2 Ga 0.250 0.500 0.750
3 Ga 0.250 0.750 0.500
4 Ga 0.500 0.250 0.750
5 Ga 0.500 0.750 0.250
6 Ga 0.750 0.250 0.500
7 Ga 0.750 0.500 0.250

***

Computed, not measured: crystalline Pu3Ga5 at its relaxed geometry at the PBE-GGA level of DFT.

## Properties
Crystal system: orthorhombic
M_tot (μB/cell): 10.98
Formation energy (eV per atom): -0.324

Cell lengths 6.091, 6.091, 9.214 Å; angles 90.00, 90.00, 81.39 degrees
Element x y z (fractional)
1 Pu 0.091 0.909 0.750
2 Pu 0.267 0.267 0.000
3 Pu 0.267 0.267 0.500
4 Pu 0.733 0.733 0.000
5 Pu 0.733 0.733 0.500
6 Pu 0.909 0.091 0.250
7 Ga 0.026 0.547 0.250
8 Ga 0.236 0.764 0.049
9 Ga 0.236 0.764 0.451
10 Ga 0.453 0.974 0.250
11 Ga 0.483 0.517 0.750
12 Ga 0.517 0.483 0.250
13 Ga 0.547 0.026 0.750
14 Ga 0.764 0.236 0.549
15 Ga 0.764 0.236 0.951
16 Ga 0.974 0.453 0.750

***

Computed, not measured: crystalline Pu2Ga3 at its relaxed geometry at the PBE-GGA level of DFT.

## Properties
Crystal system: orthorhombic
M_tot (μB/cell): 22.57
Formation energy (eV per atom): -0.267

Cell lengths 5.814, 5.814, 7.754 Å; angles 90.00, 90.00, 123.20 degrees
Element x y z (fractional)
1 Pu 0.146 0.854 0.894
2 Pu 0.354 0.646 0.394
3 Pu 0.646 0.354 0.606
4 Pu 0.854 0.146 0.106
5 Ga 0.000 0.000 0.500
6 Ga 0.140 0.360 0.750
7 Ga 0.360 0.140 0.250
8 Ga 0.500 0.500 0.000
9 Ga 0.640 0.860 0.750
10 Ga 0.860 0.640 0.250

***

Computed, not measured: crystalline PuGa5 at its relaxed geometry at the PBE-GGA level of DFT.

## Properties
Crystal system: orthorhombic
M_tot (μB/cell): 5.64
ΔE to the lowest computed polymorph (eV per formula unit): 0.19
Formation energy (eV per atom): -0.219

Cell lengths 6.421, 6.421, 4.497 Å; angles 90.00, 90.00, 141.62 degrees
Element x y z (fractional)
1 Pu 0.000 0.000 0.000
2 Ga 0.169 0.831 0.500
3 Ga 0.318 0.682 0.000
4 Ga 0.500 0.500 0.500
5 Ga 0.682 0.318 0.000
6 Ga 0.831 0.169 0.500

***

Computed, not measured: crystalline PuGa5 at its relaxed geometry at the PBE-GGA level of DFT.

## Properties
Crystal system: orthorhombic
M_tot (μB/cell): 5.59
ΔE to the lowest computed polymorph (eV per formula unit): 0.00
Formation energy (eV per atom): -0.250

Cell lengths 5.621, 5.621, 5.621 Å; angles 132.61, 113.43, 85.72 degrees
Element x y z (fractional)
1 Pu 0.000 0.000 0.000
2 Ga 0.099 0.334 0.765
3 Ga 0.432 0.666 0.765
4 Ga 0.500 0.000 0.500
5 Ga 0.568 0.334 0.235
6 Ga 0.901 0.666 0.235

***

Computed, not measured: crystalline Pu2Ga3 at its relaxed geometry at the PBE-GGA level of DFT.

## Properties
Crystal system: trigonal
M_tot (μB/cell): 11.05
Formation energy (eV per atom): -0.215

Cell lengths 5.999, 5.999, 5.999 Å; angles 47.29, 47.29, 47.29 degrees
Element x y z (fractional)
1 Pu 0.097 0.097 0.097
2 Pu 0.903 0.903 0.903
3 Ga 0.312 0.312 0.312
4 Ga 0.500 0.500 0.500
5 Ga 0.688 0.688 0.688

***

Computed, not measured: crystalline Pu3Ga at its relaxed geometry at the PBE-GGA level of DFT.

## Properties
Crystal system: tetragonal
M_tot (μB/cell): 16.96
ΔE to the lowest computed polymorph (eV per formula unit): 0.01
Formation energy (eV per atom): -0.065

Cell lengths 5.627, 5.627, 5.627 Å; angles 132.47, 132.47, 69.49 degrees
Element x y z (fractional)
~~~

Solution >
Element x y z (fractional)
Element x y z (fractional)
Element x y z (fractional)
Element x y z (fractional)
Element x y z (fractional)
Element x y z (fractional)
Element x y z (fractional)
Element x y z (fractional)